== File ==
- - -
This record from Alexandria describes LaTlW2 at its PBEsol-relaxed geometry. The functional is meta-GGA SCAN.

SG = R-3m
Theoretical density = 14.7 g/cm3
Energy of formation from the pure elements = 1184.3 meV/atom

a = 2.9599 Å, b = 2.9599 Å, c = 10.7513 Å
α = 82.09°, β = 82.09°, γ = 60.00°
Last column: nearest neighbours and their distance in Å.
Fractional positions:
1 Tl 0.0000 0.0000 0.0000  6 Tl 2.96, 6 W 2.97
2 La 0.5000 0.5000 0.5000  6 La 2.96
3 W 0.2571 0.2571 0.2287  6 W 2.96, 3 Tl 2.97
4 W 0.7429 0.7429 0.7713  6 W 2.96, 3 Tl 2.97
- - -
== What to do ==
Retype everything further above unchanged.
== Outcome ==
This record from Alexandria describes LaTlW2 at its PBEsol-relaxed geometry. The functional is meta-GGA SCAN.

SG = R-3m
Theoretical density = 14.7 g/cm3
Energy of formation from the pure elements = 1184.3 meV/atom

a = 2.9599 Å, b = 2.9599 Å, c = 10.7513 Å
α = 82.09°, β = 82.09°, γ = 60.00°
Last column: nearest neighbours and their distance in Å.
Fractional positions:
1 Tl 0.0000 0.0000 0.0000  6 Tl 2.96, 6 W 2.97
2 La 0.5000 0.5000 0.5000  6 La 2.96
3 W 0.2571 0.2571 0.2287  6 W 2.96, 3 Tl 2.97
4 W 0.7429 0.7429 0.7713  6 W 2.96, 3 Tl 2.97